Monday, July 23, 2012

Virginia Beach or Bust

<<<
# 1
For CdI2, a GGA-PBE-relaxed structure gives the calculated powder diffraction line list in this record (a wavelength of 1.5418 Å).
Intensities are scaled so that the largest is 100.

Structure:
```
CdI2
1.0
4.338 0.000 0.000
-2.169 3.756 0.000
0.000 0.000 88.927
Cd I
12 24
Cartesian
0.000 0.000 0.000
0.000 0.000 7.413
0.000 0.000 14.821
0.000 0.000 22.235
0.000 0.000 29.642
0.000 0.000 37.055
0.000 0.000 44.463
0.000 0.000 51.876
0.000 0.000 66.698
0.000 0.000 74.105
0.000 2.504 59.285
0.000 2.504 81.519
0.000 0.000 61.008
0.000 0.000 83.242
0.000 2.504 1.724
0.000 2.504 9.136
0.000 2.504 16.545
0.000 2.504 23.957
0.000 2.504 31.366
0.000 2.504 38.778
0.000 2.504 46.187
0.000 2.504 53.599
0.000 2.504 68.421
0.000 2.504 75.829
2.169 1.252 5.691
2.169 1.252 13.098
2.169 1.252 20.512
2.169 1.252 27.920
2.169 1.252 35.333
2.169 1.252 42.740
2.169 1.252 50.154
2.169 1.252 57.562
2.169 1.252 64.976
2.169 1.252 72.382
2.169 1.252 79.797
2.169 1.252 87.205
```

Largest 10 diffraction maxima, most intense first, 2θ from 10° to 90°:
2θ = 26.6°, d = 3.351 Å, I = 100, (0 1 12)
2θ = 11.9°, d = 7.411 Å, I = 47, (0 0 12)
2θ = 41.6°, d = 2.169 Å, I = 43, (1 1 0)
2θ = 34.0°, d = 2.638 Å, I = 40, (0 1 24)
2θ = 43.9°, d = 2.064 Å, I = 28, (1 0 36)
2θ = 66.4°, d = 1.409 Å, I = 19, (1 1 48)
2θ = 50.1°, d = 1.821 Å, I = 17, (2 0 12)
2θ = 67.1°, d = 1.394 Å, I = 14, (1 2 12)
2θ = 43.5°, d = 2.081 Å, I = 11, (1 1 12)
2θ = 77.6°, d = 1.231 Å, I = 10, (2 1 36)

=====

# 2
For CdI2, a GGA-PBE-relaxed structure gives the calculated powder diffraction line list in this record (a wavelength of 1.5418 Å).
Intensities are scaled so that the largest is 100.

Structure:
```
CdI2
1.0
4.332 0.000 0.000
-2.166 3.751 0.000
0.000 0.000 74.827
Cd I
10 20
Cartesian
0.000 0.000 0.000
0.000 0.000 7.484
0.000 0.000 14.965
0.000 0.000 22.447
0.000 0.000 29.929
0.000 0.000 37.413
0.000 0.000 44.898
0.000 0.000 52.379
0.000 0.000 59.861
2.166 1.250 67.344
0.000 0.000 65.617
0.000 2.501 1.726
0.000 2.501 9.211
0.000 2.501 16.691
0.000 2.501 24.174
0.000 2.501 31.656
0.000 2.501 39.140
0.000 2.501 46.625
0.000 2.501 54.106
0.000 2.501 61.587
0.000 2.501 69.071
2.166 1.250 5.757
2.166 1.250 13.239
2.166 1.250 20.721
2.166 1.250 28.202
2.166 1.250 35.687
2.166 1.250 43.171
2.166 1.250 50.653
2.166 1.250 58.134
2.166 1.250 73.101
```

Largest 10 diffraction maxima, most intense first, 2θ from 10° to 90°:
2θ = 26.6°, d = 3.354 Å, I = 100, (0 1 10)
2θ = 33.8°, d = 2.649 Å, I = 46, (0 1 20)
2θ = 11.8°, d = 7.483 Å, I = 46, (0 0 10)
2θ = 43.6°, d = 2.078 Å, I = 40, (1 0 30)
2θ = 41.7°, d = 2.166 Å, I = 40, (1 1 0)
2θ = 50.1°, d = 1.819 Å, I = 17, (2 0 10)
2θ = 66.0°, d = 1.416 Å, I = 17, (1 1 40)
2θ = 67.2°, d = 1.393 Å, I = 14, (1 2 10)
2θ = 54.8°, d = 1.676 Å, I = 14, (2 0 20)
2θ = 77.4°, d = 1.233 Å, I = 12, (2 1 30)

=====

# 3
For CdI2, a GGA-PBE-relaxed structure gives the calculated powder diffraction line list in this record (a wavelength of 1.5418 Å).
>>>

Once upon a time, long ago, the Jones family lived near the beach.  Every so often on a Saturday or Sunday we would venture to the seaside for some R&R.  We would take 1 bag, two towels, and two chairs.  We would occasionally throw a frisbee, go for a swim, or even take a nap.

Those days are long gone.  
Now when we go to the beach we have to drive 2 hours, and pack every "just in case" item you can think of, and when we settle into our place in the sand there is never sleeping.  Now-a-days there is shell hunting, and castle building, and wave chasing.   Who needs a nap at the beach anyway, I wouldn't trade watching them run and get sand in every crevice of their little bodies for a thousand beach side naps.

Our friends were going down to VA Beach for a couple of days this weekend, so Kev took off work on Friday so that we could join them.  He had some saved up points at one of his work hotels so he booked us a room right in the heart of VA Beach.

 Have you ever been to VA Beach?  I actually don't recommend it.  It takes beach tackiness to a really special level.  Complete with a tourist shops on every corner that sell everything from hermit crabs to crude t- shirts.  When you sit on the beach to your left and right is a sea of striped umbrellas for as far as the eye can see.  When you look out to the actual sea your view is obstructed by the number of bodies that are out enjoying the water.  Not really the place that I want to swim.

We did have a nice time.  We played on the beach until an impending storm drove us up to our hotel room.  When we left the beach, there were still a fair number of beach goers left, but by the time we hit the ninth floor the beach had completely cleared.  The girls loved staying in the hotel.  We had a great view of the boardwalk and ocean front.  Maggie particularly liked people watching from our balcony.  Libby liked the free toiletries.  But who doesn't love a free set of lime verbena shampoo, conditioner, and lotion?
 Since one day going to the sea front of VA Beach was a enough for me, the following day we drove the extra 30 minutes to Sandbridge which is my kind of beach.  It is quiet, it is pretty, and there is no fear of touching someone else should you choose to go swimming.  The only problem was, that after we toted everything we might need "just in case"  the swirling grey clouds over head and claps of thunder drove us back to our van to take cover...We never made it back to the beach after that.  We drove home in a monsoon, stopping only briefly to eat dinner while our kids were coming unglued from being desperately ready to be back at home.
We have had better trips.
At least we were together.
At least we took enough pictures for me to make a lengthy video montage.

 Happy beach tripping.  May you always have enough hands to carry your children and your chairs.

Grace and Peace

Monday, July 16, 2012

Hooray....Something Else To Help Me Waste

I'd like to take a moment and thank Kelle Hampton of Enjoying the Small Things   for posting a step by step tutorial on making video montages...Just what I needed, another way to make memories of my kids, while ignoring them to do so :) Just kidding.   I solemnly swear I will only make these during nap time or bed time when I should be doing laundry or cleaning the bathrooms.
Sugar by Garret Gue

Sunday, July 15, 2012

Lemonade and Other Things

There is no lemonade in this post.  I was going to post about homemade lemonade so that you could see our pictures from squeezing our own lemons.  It took a whole different turn though and now it should just be titled "Other Things."  Incidentally, here are the pictures that are not relevant to my post in the slightest!

A little known fact about our sweet Littlest is that at times she is quite literally "attached" to her mama... Still, at 18 months old, nursing quite regularly throughout the day.
 While I don't claim to be an "attachment" parent, I have always let her feed "on demand."  I admit that for the most part this worked for us, but in the last few months "on demand" has taken on new meaning.  I was all set to write a post requesting tips on weening until I realized admitted that my baby is actually a toddler and understands a lot more than we give her credit for.  This week after a day demanding to nurse every time something upset her, I decided it was time to cut her off, or at least drop back a bit on the whole nursing thing.
To be honest, I NEVER thought I would nurse this long.
 To be honest, I think it is weird...
No offense to you if you are still nursing your toddler, elementary student, high school graduate, whatever works for you...ehhh or ewe.
To me when I see her next to an infant I think, "she is really to big for this"
That's just me though.
 Don't get offended.
I have heard that nursing is a hot button for people...I'm not judging.   I'm just saying that when we are at the pool and my darling is trying to pull my top down b/c someone splashed her, it's my indication that perhaps it is time to let go of this part of our life.
The following day when it came time for her nap, I basically explained that she was a big girl now and she just had to get in her bed and go night-night.  I was laughing  in my head while explaining this to her, assuming that she wasn't really going to understand the soliloquy I had just delivered.  To my surprise, she got in her bed and laid down for her nap.  To double my surprise, with just a bit of resistance, the same thing happened at bed time.
It has been about 5 days now of cutting way back.  Some days we have managed to skip all nursing sessions.   Unless I plan on waking up way before her in the morning, I think our morning sessions  will be around for a bit longer.
I see the end in sight and hopefully I won't end up like this lady  (not that I'm judging her...I just don't want to breast feed a 3 or 4 year old).
However, if I'm honest, the first night she went down with out me feeding her, I cried.  Kev laughed at me b/c all I have been talking about since our return from England is how I need to stop, and enough is enough...But there you have it I am one big contradiction of a mother.. You know stopping breast feeding is just one step closer to her leaving for college and her wedding and wahhhhhhhhhh!!!!!
(Just for interest sake, one day I'm going to go through all of my post and note how often I mention the impending doom of my children leaving for college or getting married..I know I have a problem)
Why do babies grow up so very, very fast?
I've been working on her baby book this past week and that coupled with the weening crack down has me pinning for my babies to be small again.  After our trip to England I actually admitted that our baby days may be behind us now.  To my realistic husband's dismay I may need to retract that statement.  You never know there may still be a little Jones baby on the horizon for us..
In the mean time I officially declare that I need my children to stay small for just a bit longer.

Grace and peace

Monday, July 9, 2012

Red Hot

"I can beat the heat, I can beat the heat" that is the mantra I have been repeating in my head over and over again for two weeks of 100+ degree weather.  The other one I have been repeating is "I'm so glad I'm not pregnant, I'm so glad I'm not pregnant" ....strictly based on the summer two years ago when I was pregnant and we stayed inside for two months straight while I waited on the couch for cooler temperatures.  Poor Libby.

Saturday morning I opened the door at 8 am to put a bag of trash outside took a deep breath and in came the thick, hot air that has made up our last few weeks...Yuck!  I quickly went inside and hashed out a plan for our Saturday that involved air conditioning.

Kev was off on Wednesday for the fourth of July.  The temptation was to stay at home and get jobs done around  the house since he has been away from home the better part of 8 weeks because of our holiday and works trips.  We knew we would feel like we accomplished something if we took care of our chores.  Instead, we opted to spend time together as family doing what we've done most years since moving to VA.  

We went to the Ashland Fourth of July Parade.  It's a little slice of home town heaven that makes you feel glad that you live in place that celebrates in such an old fashion sort of way.  After we walked through crowds, while an old brass band played "You're A Grand Old Flag," and we ordered up Good Humor ice cream bars from an ice cream truck, we headed home and prepared for an evening with friends. 

Unrelated to this article: materials data >
'''
Pr2BiSbSe2: calculated powder X-ray diffraction pattern (Cu Kα X-rays), based on a cell relaxed with GGA-PBE.

Structural model:
```
data_Pr2BiSbSe2
_cell_length_a 4.2971
_cell_length_b 4.2971
_cell_length_c 9.2460
_cell_angle_alpha 90.00
_cell_angle_beta 90.00
_cell_angle_gamma 90.00
_symmetry_space_group_name_H-M 'P -4 m 2'
_symmetry_Int_Tables_number 115
loop_
_symmetry_equiv_pos_as_xyz
'x,y,z'
'y,-x,-z'
'-x,-y,z'
'-y,x,-z'
'-x,y,z'
'-y,-x,-z'
'x,-y,z'
'y,x,-z'
loop_
_atom_site_label
_atom_site_fract_x
_atom_site_fract_y
_atom_site_fract_z
Pr1 0.0000 0.5000 0.1998
Bi1 0.5000 0.5000 0.5000
Sb1 0.0000 0.0000 0.5000
Se1 0.0000 0.5000 0.8719
```

The 6 most intense peaks (10° ≤ 2θ ≤ 80°), sorted by position:
| h k l | 2θ (°) | Rel. int. |
| --- | --- | --- |
| 1 0 1 | 22.82 | 24 |
| 0 0 3 | 28.97 | 49 |
| 1 1 1 | 30.98 | 100 |
| 1 1 2 | 35.35 | 81 |
| 2 0 0 | 42.05 | 47 |
| 2 0 3 | 51.88 | 39 |

Pr2BiSbTe2: calculated powder X-ray diffraction pattern (Cu Kα X-rays), based on a cell relaxed with GGA-PBE.

Structural model:
```
data_Pr2BiSbTe2
_cell_length_a 4.4231
_cell_length_b 4.4231
_cell_length_c 9.6342
_cell_angle_alpha 90.00
_cell_angle_beta 90.00
_cell_angle_gamma 90.00
_symmetry_space_group_name_H-M 'P -4 m 2'
_symmetry_Int_Tables_number 115
loop_
_symmetry_equiv_pos_as_xyz
'x,y,z'
'y,-x,-z'
'-x,-y,z'
'-y,x,-z'
'-x,y,z'
'-y,-x,-z'
'x,-y,z'
'y,x,-z'
loop_
_atom_site_label
_atom_site_fract_x
_atom_site_fract_y
_atom_site_fract_z
Pr1 0.0000 0.5000 0.2206
Bi1 0.0000 0.0000 0.5000
Sb1 0.5000 0.5000 0.5000
Te1 0.0000 0.5000 0.8750
```

The 6 most intense peaks (10° ≤ 2θ ≤ 80°), sorted by position:
| h k l | 2θ (°) | Rel. int. |
| --- | --- | --- |
| 0 0 3 | 27.78 | 42 |
| 1 1 1 | 30.04 | 100 |
| 1 1 2 | 34.18 | 81 |
| 1 0 3 | 34.51 | 41 |
| 2 0 0 | 40.80 | 52 |
| 2 0 3 | 50.08 | 33 |

PrSmSc2Bi2: calculated powder X-ray diffraction pattern (Cu Kα X-rays), based on a cell relaxed with GGA-PBE.

Structural model:
```
data_PrSmSc2Bi2
_cell_length_a 4.5069
_cell_length_b 4.5069
_cell_length_c 16.8034
_cell_angle_alpha 90.00
_cell_angle_beta 90.00
_cell_angle_gamma 90.00
_symmetry_space_group_name_H-M 'I 4 m m'
_symmetry_Int_Tables_number 107
_symmetry_space_group_name_Hall 'I 4 -2'
loop_
_atom_site_label
_atom_site_fract_x
_atom_site_fract_y
_atom_site_fract_z
Pr1 0.0000 0.0000 0.0000
Sm1 0.0000 0.0000 0.3512
Sc1 0.0000 0.5000 0.1767
Bi1 0.0000 0.0000 0.5492
Bi2 0.0000 0.0000 0.8031
```

The 6 most intense peaks (10° ≤ 2θ ≤ 80°), sorted by position:
| h k l | 2θ (°) | Rel. int. |
| --- | --- | --- |
| 0 0 4 | 21.15 | 42 |
| 1 1 0 | 28.00 | 99 |
| 1 0 5 | 33.25 | 80 |
| 1 1 4 | 35.35 | 100 |
| 2 0 0 | 40.01 | 65 |
| 2 1 5 | 52.97 | 43 |

TbPrBi2Se2: calculated powder X-ray diffraction pattern (Cu Kα X-rays), based on a cell relaxed with GGA-PBE.

Structural model:
```
data_TbPrBi2Se2
_cell_length_a 4.3154
_cell_length_b 4.3154
_cell_length_c 9.1212
_cell_angle_alpha 90.00
_cell_angle_beta 90.00
_cell_angle_gamma 90.00
'''
So much for the materials data >

 We had friends over last year on the fourth also and it remains one of my favorite days from last summer.  Despite my initial thought of skipping a shrimp boil this year since Kev has been away so much, we decided to do it anyway.  I'm so glad we did.  The kids had a water gun battle and the dads almost got fined for setting off fireworks...All things that make for a lovely 4th.  The way the 4th should be spent eating watermelon, holding sweaty babies, and laughing with friends... Not doing chores. 

A storm rolled through last night lighting up are skies and sending my Little into a series of questions about lightning and thunder that I'm sure would have continued till morning if we had allowed it.  As a bonus, the storms cooled our temperatures right down and they only climbed to 90 today..

Ah summer, I'm so glad that you are here!
Grace and Peace